-- Contents --
/*
Material: KIn3Cl
Method: DFT, PBE
State: relaxed

theoretical density	2.65	g cm⁻³
energy above the most stable polymorph in this dataset	636	meV per atom
V	52.56	Å³/atom
D(E_F)	1.013	states/eV/atom

```
data_KIn3Cl
_cell_length_a 6.405
_cell_length_b 6.405
_cell_length_c 6.405
_cell_angle_alpha 90.00
_cell_angle_beta 90.00
_cell_angle_gamma 90.00
_space_group_name_H-M_alt 'P m -3 m'
_space_group_IT_number 221
_space_group_name_Hall '-P 4 2 3'
loop_
_atom_site_label
_atom_site_fract_x
_atom_site_fract_y
_atom_site_fract_z
_atom_site_occupancy
K1 0.000 0.000 0.000 1
In1 0.000 0.000 0.500 1
Cl1 0.500 0.500 0.500 1
```

~~~~~

[1]
Computed, not measured: a PBEsol-optimized structure of Al2SeN at the SCAN level of DFT.

Results
- Magnetic moment: 0.00 μB per atom
- Space group: Fm-3m
- ΔE_f (raw): 2.46 eV per formula unit

Cell lengths 4.238, 4.238, 4.238 Å; angles 60.00, 60.00, 60.00 degrees
Positions (direct):
Al 0.250 0.250 0.250
Al 0.750 0.750 0.750
Se 0.000 0.000 0.000
N 0.500 0.500 0.500

=====

[2]
Computed, not measured: a PBEsol-optimized structure of FeTcAg3 at the SCAN level of DFT.

Results
- Magnetic moment: 1.39 μB per atom
- ΔE_f: 7.23 eV/f.u.
- Space group: Pm-3m

Cell lengths 4.620, 4.620, 4.620 Å; angles 90.00, 90.00, 90.00 degrees
Positions (direct):
Fe 0.000 0.000 0.000
Tc 0.500 0.500 0.500
Ag 0.000 0.000 0.500
Ag 0.000 0.500 0.000
Ag 0.500 0.000 0.000

=====

[3]
Computed, not measured: a PBEsol-optimized structure of LaCo4Ru at the SCAN level of DFT.

Results
- Magnetic moment: 1.35 μB per atom
- ΔE_f: 1.58 eV/f.u.
- Space group: F-43m

Cell lengths 4.894, 4.894, 4.894 Å; angles 60.00, 60.00, 60.00 degrees
Positions (direct):
La 0.000 0.000 0.000
Co 0.376 0.376 0.376
Co 0.376 0.376 0.872
Co 0.376 0.872 0.376
Co 0.872 0.376 0.376
Ru 0.750 0.750 0.750

=====

[4]
Computed, not measured: a PBEsol-optimized structure of CaCdCo at the SCAN level of DFT.

Results
- Magnetic moment: 0.47 μB per atom
- ΔE_f: 0.28 eV/f.u.
- Space group: I4mm

Cell lengths 5.720, 5.720, 5.720 Å; angles 145.65, 145.65, 49.36 degrees
Positions (direct):
Ca 0.000 0.000 0.000
Cd 0.288 0.288 0.000
Co 0.679 0.679 0.000

=====

[5]
Computed, not measured: a PBEsol-optimized structure of Y3Ga9Pt2 at the SCAN level of DFT.

Results
- Magnetic moment: 0.00 μB per atom
- ΔE_f: -11.80 eV/f.u.
- Space group: Immm

Cell lengths 8.111, 8.111, 8.111 Å; angles 150.35, 104.75, 82.89 degrees
Positions (direct):
Y 0.000 0.000 0.000
Y 0.323 0.323 0.000
Y 0.677 0.677 0.000
Ga 0.043 0.668 0.375
Ga 0.150 0.870 0.280
Ga 0.293 0.668 0.625
Ga 0.410 0.130 0.280
Ga 0.500 0.000 0.500
Ga 0.590 0.870 0.720
Ga 0.707 0.332 0.375
Ga 0.850 0.130 0.720
Ga 0.957 0.332 0.625
Pt 0.274 0.500 0.774
Pt 0.726 0.500 0.226

=====

[6]
Computed, not measured: a PBEsol-optimized structure of ScRu3 at the SCAN level of DFT.

Results
- Magnetic moment: 0.00 μB per atom
- ΔE_f: 0.04 eV/f.u.
- Space group: P2/m

Cell lengths 2.703, 4.090, 5.378 Å; angles 90.00, 102.74, 90.00 degrees
Positions (direct):
Sc 0.000 0.000 0.000
Ru 0.000 0.000 0.500
Ru 0.417 0.500 0.261
Ru 0.583 0.500 0.739

=====

[7]
Computed, not measured: a PBEsol-optimized structure of LiCoSi at the SCAN level of DFT.
*/
-- Wanted --
Filter the lines further above: keep the lines with the word "stable", please.
-- Outcome --
energy above the most stable polymorph in this dataset	636	meV per atom